What to do
Could you copy only the last part of the material further down, starting with the line that has "0.315], [0.342,"?
Entries
- - -
# 1
{"formula": "CoPI2", "functional": "GGA-PBE", "state": "relaxed", "lattice": [[2.944, -0.348, 4.022], [-1.274, 2.322, 4.237], [-1.484, -2.663, 3.959]], "species": ["I", "I", "P", "Co"], "fractional_positions": [[0.250, 0.250, 0.250], [0.750, 0.750, 0.750], [0.000, 0.000, 0.000], [0.500, 0.500, 0.500]], "space_group": "No. 225", "formation_energy_uncorrected_ev_per_atom": 1.074}


# 2
{"formula": "Nd7DyY3", "functional": "GGA-PBE", "state": "relaxed", "lattice": [[9.817, -2.437, 2.023], [-5.668, 8.380, -2.022], [2.483, -1.732, 12.260]], "species": ["Nd", "Nd", "Nd", "Nd", "Nd", "Nd", "Nd", "Nd", "Nd", "Nd", "Nd", "Nd", "Nd", "Nd", "Dy", "Dy", "Y", "Y", "Y", "Y", "Y", "Y"], "fractional_positions": [[0.164, 0.845, 0.225], [0.155, 0.836, 0.725], [0.086, 0.421, 0.528], [0.084, 0.420, 0.029], [0.580, 0.914, 0.028], [0.580, 0.916, 0.529], [0.280, 0.280, 0.750], [0.719, 0.719, 0.250], [0.421, 0.086, 0.972], [0.420, 0.084, 0.471], [0.916, 0.580, 0.971], [0.914, 0.579, 0.472], [0.845, 0.164, 0.275], [0.836, 0.155, 0.775], [0.500, 0.500, 0.000], [0.500, 0.500, 0.500], [0.329, 0.668, 0.774], [0.000, 0.000, 0.000], [0.000, 0.000, 0.500], [0.332, 0.671, 0.274], [0.668, 0.329, 0.726], [0.671, 0.332, 0.226]], "space_group": "No. 15", "formation_enthalpy_0k_ev_per_atom": 0.182}


# 3
{"formula": "ScUTc", "functional": "GGA-PBE", "state": "relaxed", "lattice": [[3.422, 0.000, 0.000], [0.000, 3.422, 0.000], [-1.711, -1.711, 11.406]], "species": ["Sc", "Sc", "U", "U", "Tc", "Tc"], "fractional_positions": [[0.073, 0.073, 0.147], [0.927, 0.927, 0.853], [0.658, 0.658, 0.315], [0.342, 0.342, 0.685], [0.796, 0.796, 0.591], [0.204, 0.204, 0.409]], "space_group": "No. 139", "formation_enthalpy_0k_ev_per_atom": 0.255}


no.,V (Å³/atom)
1,22.1
2,36.1
3,22.3
- - -
Written answer
{"formula": "ScUTc", "functional": "GGA-PBE", "state": "relaxed", "lattice": [[3.422, 0.000, 0.000], [0.000, 3.422, 0.000], [-1.711, -1.711, 11.406]], "species": ["Sc", "Sc", "U", "U", "Tc", "Tc"], "fractional_positions": [[0.073, 0.073, 0.147], [0.927, 0.927, 0.853], [0.658, 0.658, 0.315], [0.342, 0.342, 0.685], [0.796, 0.796, 0.591], [0.204, 0.204, 0.409]], "space_group": "No. 139", "formation_enthalpy_0k_ev_per_atom": 0.255}


no.,V (Å³/atom)
1,22.1
2,36.1
3,22.3